Your heart is an organ about the size of your fist. Your heart is at the centre of your circulatory system and is responsible for pumping blood through your body. A healthy heart supplies your body with the right amount of blood at the rate needed to work well and is fundamental to the healthy lives we aspire to lead.
No one knows this better than Professor Gemma Figtree, an interventional cardiologist and research lead of the Cardiovascular Discovery Group at the Kolling Institute. Having seen all too often the devastating effects of heart disease, Professor Figtree is determined to discover what we are yet to learn about the world’s biggest killer.
Getting to the heart of the matter, Professor Figtree discusses how researchers and clinicians are working together to discover early identification markers of cardiovascular disease.
The Kolling Institute, where Professor Figtree and her team are carrying out their research, is strategically placed near Royal North Shore Hospital – one of the leading hospitals for heart attack management.
“We are seeing more and more patients presenting with heart disease that don’t fit traditional risk factor profiling. Our labs are committed to finding out why” says Professor Figtree.
‘Time is muscle’ at the Cath Lab
When a person suffers a heart attack, the heart muscle is dying. Every minute that passes is causing irreversible damage to the patient’s heart. This is where the term ‘time is muscle’ comes from and multiple teams must work together to minimise the heart cells affected.
Where possible, paramedics perform an ECG (a test that detects cardiac abnormalities through electrical pulses) in the field and transmit this information to clinicians at the Cath Lab. Clinicians then review the results of the ECG to determine if they fit the criteria for a heart attack. Often these screening tests will enable a patient to bypass the Emergency Department and be taken straight to the Cath Lab, saving valuable time.
“People suffering from a heart attack come to us for primary percutaneous intervention – which is basically putting a stent into the blocked artery. By placing the stent as soon as possible means, fewer heart cells will be lost, improving the outcome for the patient”.
The face pimple analogy to explain plaque build-up in the arteries
Atherosclerosis is the buildup of fats and cholesterol that narrow artery walls and restrict blood flow. Professor Figtree uses the analogy of a pimple to help explain the importance of early detection of such buildups.
“It is not just the cholesterol that is dangerous but also the inflammation which even if it is not blocking the artery itself it is still causing instability. When it pops, the plaque’s actual contents meet the blood and activates the clotting that blocks the artery. This can then cause a sudden heart attack”.
This is why early atherosclerosis needs to be detected to apply aggressive, effective and preventative therapy. Professor Figtree and her team are focused on identifying methods aimed at picking up early atherosclerosis in individuals long before they suffer a heart attack.
The team are looking beyond the traditional risk profile, based on high blood pressure, high cholesterol and smoking history. By doing this, the research aims to identify blood markers that detect the disease earlier – before risk itself.
“Understanding why the individual’s vascular response, with traditional risk or not, varies so much can give us answers that can help all patients at risk of heart disease – especially as we are seeing an increase in the proportion of patients who are suffering from heart attack without any of the traditional risk factors”.
New Kolling Research reveals the complications of having a heart attack in the absence of standard risk factors
Professor Figtree and fellow Kolling Institute cardiology and researcher Steve Vernon, have been working with international collaborators using the extensive SWEDEHEART Registry cohort. Their work has led to discovering that individuals who suffer a heart attack in the absence of Standard Modifiable Risk Factors (SMuRFless) have an almost 50% higher mortality at 30 days post the incident. Their stunning discovery has just been published in one of the world’s most prestigious medical journals – The Lancet. This finding is particularly concerning for “SMuRFless” women- who have a three times higher early mortality than a male with traditional risk factors after suffering a heart attack and further highlights the need to discover missing mechanisms, markers, and treatments for people at risk of coronary artery disease. The team have also received a prestigious NHMRC Centre for Research Excellence grant for $2.5 Mill towards this work over the next five years.
The team has also been investigating a receptor called P2x7 – a receptor that is involved in causing the inflammation and it’s susceptibility to plaque independently as part of the development of a heart attack. They are currently collaborating to develop new drugs that can target this receptor. Their research has shown, so far, that it does seem to block harmful inflammation that is related to heart disease.
Donations get heart research projects pumping
Continuous funding is crucial to allow life-saving pilot research projects to be undertaken and continue to completion. Professor Figtree explains their work is heavily reliant on philanthropic support from various sources, including NORTH Foundation, Heart Research Australia, and the National Heart Foundation.
“We rely on the philanthropic contributions to support innovative new ideas and build up data to be successful with other national and international competitive sources”.
Working on the front line, directly with patients, reinforces just how important that new research continues. Not a day goes by that Professor Figtree doesn’t meet a patient or two who have or could benefit from some of the outcomes that cardiology research uncovers.
Often it is patients that help direct change, raise awareness and secure initial support of research programs.
Here the entry breaks off for calculated molecules =
'''
A molecular structure, C40H63N10O5SSbY at a distorted geometry, computed with the ωB97M-V functional and the def2-TZVPD basis.

Element x y z (Å)
Y: 0.344 -0.043 -0.106
N: 1.839 -1.824 -1.597
C: 2.223 -2.892 -0.661
C: 2.525 -4.231 -1.340
C: 1.354 -4.926 -2.044
C: 0.269 -5.485 -1.117
N: 0.808 -6.145 0.069
C: 1.157 -7.401 0.183
N: 0.969 -8.282 -0.810
N: 1.735 -7.820 1.318
C: 1.169 -3.042 0.447
O: 1.382 -3.888 1.334
O: 0.152 -2.297 0.363
H: 1.564 -2.217 -2.490
H: 2.623 -1.203 -1.773
H: 3.126 -2.579 -0.138
H: 2.959 -4.902 -0.597
H: 3.304 -4.059 -2.086
H: 1.760 -5.730 -2.664
H: 0.855 -4.240 -2.736
H: -0.392 -6.162 -1.661
H: -0.364 -4.680 -0.744
H: 1.089 -5.462 0.793
H: 0.522 -8.000 -1.663
H: 1.139 -9.262 -0.673
H: 1.850 -7.178 2.084
H: 1.982 -8.782 1.461
C: 2.256 1.933 7.486
O: 1.375 1.576 6.429
C: 1.906 1.245 5.232
C: 3.293 1.281 4.966
C: 3.724 0.926 3.716
C: 2.842 0.536 2.691
C: 3.354 0.121 1.413
C: 4.837 0.119 1.151
O: 2.621 -0.263 0.480
C: 1.439 0.524 2.964
O: 0.560 0.206 2.066
C: 1.008 0.872 4.253
H: 1.626 2.120 8.351
H: 2.815 2.839 7.245
H: 2.951 1.124 7.714
H: 4.005 1.579 5.719
H: 4.787 0.948 3.516
H: 5.251 1.117 1.298
H: 5.008 -0.178 0.119
H: 5.350 -0.568 1.825
H: -0.053 0.874 4.468
C: -1.475 -2.324 3.324
Sb: -2.154 -0.888 1.901
C: -3.993 -1.934 1.419
C: -3.039 0.431 3.363
H: -2.285 -2.550 4.017
H: -0.625 -1.910 3.865
H: -1.150 -3.224 2.804
H: -4.739 -1.766 2.196
H: -3.792 -3.005 1.349
H: -4.394 -1.597 0.459
H: -4.122 0.300 3.373
H: -2.792 1.466 3.134
H: -2.648 0.183 4.350
C: 4.631 3.571 -0.846
C: 3.686 3.395 0.154
C: 2.494 2.730 -0.100
C: 2.211 2.201 -1.364
C: 3.176 2.387 -2.367
C: 4.360 3.060 -2.111
N: 1.020 1.473 -1.602
C: 0.513 1.624 -2.913
C: 0.203 0.527 -3.718
C: -0.338 0.690 -4.988
C: -0.575 1.956 -5.500
C: -0.246 3.062 -4.723
C: 0.289 2.895 -3.458
H: 5.554 4.103 -0.651
H: 3.864 3.792 1.148
H: 1.763 2.633 0.693
H: 2.989 1.993 -3.359
H: 5.082 3.183 -2.910
H: 0.399 -0.468 -3.336
H: -0.558 -0.183 -5.591
H: -0.987 2.082 -6.492
H: -0.400 4.061 -5.112
H: 0.592 3.761 -2.885
C: -4.909 2.121 -1.564
C: -3.911 2.180 -0.430
N: -2.700 1.498 -0.859
C: -2.743 0.280 -1.483
N: -1.675 -0.473 -1.446
C: -1.776 -1.792 -2.060
C: -2.649 -1.771 -3.298
C: -4.019 -1.280 -2.889
N: -3.900 -0.043 -2.130
C: -5.156 0.663 -1.887
H: -4.491 2.626 -2.438
H: -5.846 2.607 -1.294
H: -4.335 1.716 0.470
H: -3.646 3.206 -0.176
H: -1.923 1.607 -0.210
H: -2.187 -2.504 -1.330
H: -0.768 -2.141 -2.292
H: -2.726 -2.760 -3.752
H: -2.219 -1.084 -4.029
H: -4.540 -2.040 -2.294
H: -4.637 -1.072 -3.765
H: -5.700 0.184 -1.063
H: -5.768 0.559 -2.783
C: -0.497 5.693 -1.124
N: -0.724 4.388 -0.513
C: -1.064 4.155 0.761
S: -0.688 2.672 1.504
N: -1.674 5.121 1.477
C: -2.606 6.123 0.968
H: 0.459 5.672 -1.641
H: -0.435 6.460 -0.358
H: -1.273 5.958 -1.841
H: -0.300 3.589 -0.972
H: -1.794 4.855 2.442
H: -2.863 5.910 -0.066
H: -2.203 7.133 1.031
H: -3.523 6.078 1.554

## Properties
Spin multiplicity   1
E_tot   -3162.62951 Eh
Total charge   +1
HOMO level (alpha / beta)   -8.61 / -8.61 eV
'''
Professor Figtree attributes the increase in public awareness and education as having led to members of the public being able to help resuscitate individuals through CPR before entering the Cath lab – saving lives and improving outcomes.
One patient who springs to mind making a difference in this area is Ian Hutchinson (Hutch) and his journey to becoming a strong advocate for cardiac education and awareness.
After his cardiac arrest experience, Hutch decided to set up a program called ‘CPR BBQ’ offering CPR and resuscitation education and training in a social setting. You can read more of Hutch’s story here and how powerful a change one person can make.
You can directly support Professor Figtree’s critical cardiology research and her team within the Cardiovascular Discovery Group at the Kolling Institute.
By choosing to make a monthly donation, you can help us provide long-term strategic funding within the Kolling Institute.
You can donate to this research area directly online on our website. Our researchers are grateful for every donation they receive.
About the Cardiovascular Discovery Group
The Cardiology Discovery Group’s main objective is to improve the survival and well-being of people with heart disease. This is achieved through two teams. The discovery group, mostly made up of biomedical researchers, focusing on understanding the normal mechanisms and coming up with new therapies. The clinical group manages large cohort studies and clinical trials that are emerging from the discovery group.